Well now this is a new one. Usually I do a whole intro and stuff for planned, new, structured content but this, while new, was never truly planned and thus lacks the structure of the five day format of my original scheme. That being said, I guess I'll just jump right into it from here.
Today was an interesting day to say the least. I received a call from the world-renown writer and inspirational-ist (what so I'm looking ahead a couple years, sue me) Michelle Vargas. She has shifted gears and is now taking on the profession of Life Coach. Due to circumstances in my favor, I was privileged enough to receive a session from her. Now I won't go into too much detail about it but frankly speaking, it wasn't easy. In fact what it set the stage for this day is my primary reason for making this entry in the first place.
Now I was tasked to attempt an exercise which would produce unforeseeable results upon completion. Okay, sounded easy enough and though a little hiccup or three held up the progress, the initial findings were successfully acquired. Bringing this to now, two unexpected outcomes came about this day. An old connection was revived and one, seemingly, lost.
I received a call from my older brother today. We hadn't spoken in over a year and today he randomly called me as to inquire about the absence. He wasn't particularly pleased with my answers but I tried to be as honest as possible as to not belittle his intelligence with straight lies. The conversation, however, ended on a note I lack the emotional understanding to categorize. But I guess we're 'talking' again so I guess that is something.
Now, I also received another call, this time, from an old friend which really was just a return call from one I made earlier. Unfortunately it was just as peasant. The whole time I kept thinking about how something felt off. I couldn't quite figure it out. There just seemed to be some pulling away going on but I couldn't grasp it wholly, let alone a reason why until even later on in the evening when I received an email from that very same, old friend.
I won't go into detail about what they wrote to me but here I will display what I replied:
**These materials data were left in the page by mistake**
VASP calculation (PBE) on Cr3PtN after structural relaxation.

Calculated values
- calculated density (g cm⁻³) = 10.7
- formation energy (no corrections) (kJ/mol of atoms) = -33
- symmetry = Pm-3m (221)
- ΔE to the lowest computed polymorph (kJ per mole of atoms) = 0.0
- crystal system = cubic

Cell: 3.8394 3.8394 3.8394 Å, 90.00 90.00 90.00°
Site moments in Bohr magnetons follow the coordinates.
Element x y z (fractional)
N: 0.5000 0.5000 0.5000  0.00
Cr: 0.5000 0.0000 0.5000  0.21
Cr: 0.0000 0.5000 0.5000  0.21
Cr: 0.5000 0.5000 0.0000  0.21
Pt: 0.0000 0.0000 0.0000  0.01

* * * * *

Computed, not measured: an optimized crystal structure of ZrSi2Hg at the PBE-GGA level of DFT. Values from VASP.

Geometry as Quantum ESPRESSO input:
```
&SYSTEM
  ibrav = 0, nat = 4, ntyp = 3
/
ATOMIC_SPECIES
Hg 200.59 Hg.upf
Si 28.09 Si.upf
Zr 91.22 Zr.upf
CELL_PARAMETERS angstrom
8.770 0.028 0.016
8.175 3.176 0.016
8.175 1.545 2.774
ATOMIC_POSITIONS crystal
Hg 0.744 0.744 0.744
Si 0.991 0.991 0.991
Si 0.258 0.258 0.258
Zr 0.507 0.507 0.507
```

Calculated values
ΔE to the lowest computed polymorph: 226 meV/atom
E_form (uncorrected): 0.5 eV per formula unit
symmetry: R3m (160)

Computed, not measured: an optimized crystal structure of ScMnSnIr2 at the PBE-GGA level of DFT. Values from VASP.

Geometry as Quantum ESPRESSO input:
```
&SYSTEM
  ibrav = 0, nat = 5, ntyp = 4
/
ATOMIC_SPECIES
Sc 44.96 Sc.upf
Ir 192.22 Ir.upf
Sn 118.71 Sn.upf
Mn 54.94 Mn.upf
CELL_PARAMETERS angstrom
4.553 0.000 0.000
0.000 4.721 0.000
0.000 0.000 4.553
ATOMIC_POSITIONS crystal
Sc 0.500 0.500 0.500
Ir 0.000 0.000 0.500
Ir 0.500 0.000 0.000
Sn 0.000 0.500 0.000
Mn 0.000 0.000 0.000
```

Calculated values
ΔE_f: 0.511 eV/atom
symmetry: P4/mmm (123)
Ah, email, the purest form I know. Let's tackle this shall we? No issue with delays, it's not as if I'm going anywhere after all. So lets see what you're getting at. Hmm, I can understand the sentiment but please do try to see it from my point of view. No video has said, 'go email someone you care about to let them know you care about them.' The video in question only helped me realize that I don't take the time to express my appreciation for what I do have in this world and that maybe such has affected my ability to receive such appreciation in return. The words and feelings expressed are all mine, if not a bit sugary. But we'll call that optimistic instead.
So, yes, we did have fifth grade together. I know this because it was something I noticed in a class photo of that year. That and I remember an instance when we had some sort of class dance situation going on and I won a pencil. That is the only concrete time I can place you in that class. No offense but, because of that, I most certainly stand by ninth grade assertion as our "official" meeting. Now I'd just jump right into the next section but at this point of reading I already felt what was coming next. Even as we spoke on the phone earlier it was pretty apparent. Now I've chosen to do these challenges because frankly it's not as actively taxing as other tasks and there's nothing to lose but plenty to gain from these new ways of interaction. Interaction with people being something I've found myself grossly loosing the ability to perform adequately. So, well, moving into the next bullet.
I don't attempt these "challenges" because I have to. I do so because I choose to.
And, now we come to the part that I was dreading as soon as I started reading your reply. Distance? Okay, if that's how you feel then by all means. I do not understand the place where that is coming from but I will respect it if you feel that it's for the best. As I mentioned earlier, I could feel this outcome as early as our conversation on the phone. Perhaps even as early as last week. But hey, it is what it is. I don't harbor any ills toward your decision and just hope it helps. That said, I guess this is it for however long it takes. Be well and find peace.
- Guardian
It's already sent out and waiting in the wings to be read but at this point I've found myself with so many thoughts of TWO thoughts. That's right, only two thoughts are spawning all of this chaos in my head. The first thought being that this friend has decided to pull away because of my decision to take part in challenges set forth to improve myself. And in a message sent to express my appreciation for them, they replied with the exact opposite of what I had hoped to expect from anecdotes shared in reply to the initial video challenge. Were it simply silence, that would be that, but I was met with was what seemed like a request to stop being friends. At such a point all I could do was continue to speculate (as I am now) about the reasoning behind such an extreme response. Thinking about what had changed lately, wondering if all this was worth it in the first place; I began slinking back into that dark depressive state I knew all too well. It was then that the second thought rang forth. I wasn't the same any more. I still feel the tinges of depression but I largely don't have the same dark inclinations. For the first time, in a long time, the mission was more important to me than dying.
I've taken on a multitude of names and personas and yet the mission has never actually changed. Depression, suicidal inclinations, all that, but what kept me anchored was the mission. I really feel I owe a large bit of it to the new influences I've found in life. Influences such as Michelle Vargas. Her words, vlogs, and book, have helped me realize how limiting I was to myself. How it was fear that was holding me back regardless of the mission I had set out to accomplish. And, now, armed with that knowledge things just seem all the more clear. Don't get me wrong, I still feel the depression, the anxiety, the fear, but now, more so than in a long span of years, I feel the drive that started me on this path in the first place. I feel a sense of motivation to finally strip away some of the self-generated chains that have clamped down my soul.
This undertaking is nothing of ease but that perhaps is why I have to do it. So I may still struggle with people and even simple things like genuine feelings but the regrets, the failures, all that means to me is that I can't die just yet. And for this cause I'd fight for eternity to bring it to fruition.
Thanks "Coach!" And thanks also to CourtneyPants, Dodger, and essentiALLY5. Just a few vloggers I've come across who have dared to share the personal struggles. The stories all have shared and the strength of will and character such actions have displayed, has helped me find something I myself thought long lost. Something I'm ashamed to have forgotten so long ago. Something only stories of super heroes had articulated to me as a kid and even now still, as an adult. Thank you all and to any I haven't directly called out, I sincerely apologize but graciously thank you as well. Its been too long since I felt the need but here I now stand leagues closer to the old me, my core, free.